Input.
The following is a DFT calculation (wB97M-V/def2-TZVPD) of a cluster of 2 separate species, C3H9NO in total.

XYZ file:
```
14
Properties=species:S:1:pos:R:3:forces:R:3
C 0.191543 2.057386 2.046230 -0.200 -0.536 -0.133
C -0.688718 2.973512 1.681617 0.268 0.019 0.188
H 0.923958 2.168788 2.838419 0.000 0.227 -0.184
H 0.145476 1.088497 1.554639 0.134 -0.012 0.199
H -0.674005 3.964613 2.111468 -0.196 0.076 0.023
H -1.436553 2.728121 0.940349 -0.006 0.214 -0.099
N 1.158184 -1.851793 -1.311323 0.125 0.136 0.848
C -0.287174 -1.980949 -1.235796 -0.363 0.589 0.373
O -0.867445 -1.807046 -2.508933 0.208 -0.039 -0.098
H 1.574258 -2.367236 -0.539037 -0.007 -0.350 -0.311
H 1.423950 -0.899684 -1.072458 -0.094 0.105 -0.450
H -0.747396 -1.231494 -0.577812 0.064 0.124 -0.153
H -0.573052 -2.929318 -0.787123 0.201 -0.461 -0.262
H -0.143024 -1.913397 -3.140240 -0.132 -0.093 0.060
```
Positions in Å, forces in eV/Å.

The electronic energy is -249.64513 a.u. For the gap between HOMO and LUMO, the calculation gives 10.84 eV. The HOMO energy comes out at -10.05 eV. As for the net charge: 0. As for the SMILES: C=C.NCO.

Atom-resolved charges from Löwdin, all expressed in e:
1. C -0.0863
2. C -0.0808
3. H 0.0459
4. H 0.0333
5. H 0.0435
6. H 0.0451
7. N 0.0137
8. C -0.3703
9. O -0.0696
10. H 0.0687
11. H 0.0678
12. H 0.1042
13. H 0.1059
14. H 0.0789

---

The following is a DFT calculation (wB97M-V/def2-TZVPD) of the molecule C3H9NO in a non-equilibrium geometry.

XYZ file:
```
14
Properties=species:S:1:pos:R:3:forces:R:3
C -0.893082 0.628031 0.612415 -0.608 0.499 -0.327
C -0.196942 -0.696106 0.656541 -3.439 -2.455 1.916
C 0.950579 -0.941892 -0.225018 -0.249 -1.782 0.112
H -2.195376 0.119217 -0.943550 0.151 0.242 0.318
H -1.116483 1.197998 -1.487459 0.393 -0.061 0.756
H -0.102574 1.327983 0.796489 0.136 1.047 -0.350
H -1.567724 0.739344 1.503660 0.287 -0.234 -1.004
H -1.057040 -1.498942 0.496916 1.838 1.113 0.057
H 0.143479 -0.944101 1.688326 -0.375 0.594 -0.260
H 1.461266 -1.797211 0.312355 0.038 0.522 -1.426
H 0.619098 -1.138036 -1.223319 -0.160 -0.950 -0.591
H 2.319428 0.235107 0.326549 0.979 0.383 1.051
N -1.638713 0.925473 -0.654798 -0.032 -0.368 0.562
O 1.725448 0.167517 -0.393750 1.042 1.448 -0.812
```
Positions in Å, forces in eV/Å.

The electronic energy is -249.65619 a.u. For the gap between HOMO and LUMO, the calculation gives 9.96 eV. The HOMO energy comes out at -9.11 eV. As for the net charge: 0. As for the SMILES: NCCCO.

Atom-resolved charges from Löwdin, all expressed in e:
1. C -0.2893
2. C -0.2521
3. C -0.3410
4. H 0.0571
5. H 0.0626
6. H 0.0898
7. H 0.1178
8. H 0.1495
9. H 0.1123
10. H 0.1374
11. H 0.1104
12. H 0.0781
13. N -0.0023
14. O -0.0303

---

Going through the records in order, we get relative energy (zero: lowest compared OMol25 entry of this formula, charge and spin) values of 1.866 1.565 eV.
Going through the records in order, we get lowest unoccupied orbital energy values of 0.79 0.85 eV.


1.
Molecular formula: C25H29N3O7
Method: DFT, ωB97M-V/def2-TZVPD

Geometry as XYZ:
```
64
Properties=species:S:1:pos:R:3:mulliken_charge:R:1
O -2.8591 -1.3238 7.0649 -0.5642
O -0.8221 -0.8797 8.8500 -0.6075
O -0.2850 -4.4348 -4.6516 -0.5469
O -3.2987 -2.9445 -0.2900 -0.5499
O -0.6082 1.7038 4.2140 -0.6200
O 1.4740 2.0790 5.9626 -0.5592
O -0.2074 1.6635 -5.1893 -0.3908
N 3.0129 -0.9750 -1.9981 -0.5986
N 1.0116 -0.5986 -0.6024 0.6852
N 2.8848 -2.4484 0.0175 -0.5502
C 1.2148 3.4882 -1.8735 -0.5836
C -0.7833 -2.1583 -3.3659 0.2489
C -0.2672 -4.5601 -2.0130 -0.3739
C -1.7776 0.1780 5.5913 -0.8016
C 0.3766 0.6015 7.4492 -0.8335
C 1.2459 1.7175 -5.4112 -0.4850
C -1.0654 -4.1730 -0.7923 -0.2351
C -2.1482 -2.9109 -0.9674 0.2961
C 0.4192 1.2431 6.2800 0.3172
C -1.4729 1.0473 -2.9287 -0.1902
C -0.6655 1.0866 5.2717 0.9026
C -1.8183 -0.4662 6.7592 0.3870
C -1.9903 -0.1239 -1.8598 0.1085
C -2.8329 0.4597 -0.5456 -0.9161
C -0.2703 -1.0114 -4.4262 -0.5302
C -1.6484 1.0035 0.5024 -0.1120
C 0.7470 -0.3352 0.8631 -0.8286
C -0.8453 -0.2096 1.2588 0.2408
Activity.
Your job: transcribe the lines above up to the one that holds "-0.2893", that line included.
Written answer.
The following is a DFT calculation (wB97M-V/def2-TZVPD) of a cluster of 2 separate species, C3H9NO in total.

XYZ file:
```
14
Properties=species:S:1:pos:R:3:forces:R:3
C 0.191543 2.057386 2.046230 -0.200 -0.536 -0.133
C -0.688718 2.973512 1.681617 0.268 0.019 0.188
H 0.923958 2.168788 2.838419 0.000 0.227 -0.184
H 0.145476 1.088497 1.554639 0.134 -0.012 0.199
H -0.674005 3.964613 2.111468 -0.196 0.076 0.023
H -1.436553 2.728121 0.940349 -0.006 0.214 -0.099
N 1.158184 -1.851793 -1.311323 0.125 0.136 0.848
C -0.287174 -1.980949 -1.235796 -0.363 0.589 0.373
O -0.867445 -1.807046 -2.508933 0.208 -0.039 -0.098
H 1.574258 -2.367236 -0.539037 -0.007 -0.350 -0.311
H 1.423950 -0.899684 -1.072458 -0.094 0.105 -0.450
H -0.747396 -1.231494 -0.577812 0.064 0.124 -0.153
H -0.573052 -2.929318 -0.787123 0.201 -0.461 -0.262
H -0.143024 -1.913397 -3.140240 -0.132 -0.093 0.060
```
Positions in Å, forces in eV/Å.

The electronic energy is -249.64513 a.u. For the gap between HOMO and LUMO, the calculation gives 10.84 eV. The HOMO energy comes out at -10.05 eV. As for the net charge: 0. As for the SMILES: C=C.NCO.

Atom-resolved charges from Löwdin, all expressed in e:
1. C -0.0863
2. C -0.0808
3. H 0.0459
4. H 0.0333
5. H 0.0435
6. H 0.0451
7. N 0.0137
8. C -0.3703
9. O -0.0696
10. H 0.0687
11. H 0.0678
12. H 0.1042
13. H 0.1059
14. H 0.0789

---

The following is a DFT calculation (wB97M-V/def2-TZVPD) of the molecule C3H9NO in a non-equilibrium geometry.

XYZ file:
```
14
Properties=species:S:1:pos:R:3:forces:R:3
C -0.893082 0.628031 0.612415 -0.608 0.499 -0.327
C -0.196942 -0.696106 0.656541 -3.439 -2.455 1.916
C 0.950579 -0.941892 -0.225018 -0.249 -1.782 0.112
H -2.195376 0.119217 -0.943550 0.151 0.242 0.318
H -1.116483 1.197998 -1.487459 0.393 -0.061 0.756
H -0.102574 1.327983 0.796489 0.136 1.047 -0.350
H -1.567724 0.739344 1.503660 0.287 -0.234 -1.004
H -1.057040 -1.498942 0.496916 1.838 1.113 0.057
H 0.143479 -0.944101 1.688326 -0.375 0.594 -0.260
H 1.461266 -1.797211 0.312355 0.038 0.522 -1.426
H 0.619098 -1.138036 -1.223319 -0.160 -0.950 -0.591
H 2.319428 0.235107 0.326549 0.979 0.383 1.051
N -1.638713 0.925473 -0.654798 -0.032 -0.368 0.562
O 1.725448 0.167517 -0.393750 1.042 1.448 -0.812
```
Positions in Å, forces in eV/Å.

The electronic energy is -249.65619 a.u. For the gap between HOMO and LUMO, the calculation gives 9.96 eV. The HOMO energy comes out at -9.11 eV. As for the net charge: 0. As for the SMILES: NCCCO.

Atom-resolved charges from Löwdin, all expressed in e:
1. C -0.2893